• HasturInYellow@lemmy.world
    9 months ago

    I’m not claiming there is a secret cabal of evil doers conspiring to ruin everything. But the interests of the rich all align and so they are all largely working towards the same thing. Having money in politics corrupts every single person in it, though to varying degrees. Both sides are very clearly bad. But also very clearly not to the same degree. I agree that Biden has done a lot that is good. But his whole platform is attempting to maintain status quo and while I haven’t mentioned this before, my main concern is climate change.

    Climate change is going to FUCK everyone. It is already and there is virtually no time to daudle about with half measures and false promises. There have been policies that claim to help and may even attempt to in good faith but they are consistently coopted or corrupted by lobbiests before being implemented or circumvented after. There needs to be strong, decisive action taken to reign in carbon emissions and not just do carbon offsets because carbon offsets are never going to solve this problem. All they do is delay actual action. The main reason I am so fucking angry with Biden is because he’s fucking ancient and simply doesn’t feel the same urgency as someone who will actually live with the consequences of the recklessness and stupidity of fossil fuels companies.

    Everything he has tried to do with regards to this only ends up enriching companies further or passing the blame off to the poor of the country who have no other options than to use fossile fuels. I want someone who will take these oil oligarchs (Oiligarchs is something I saw once and it made me chuckle) to task and actually reign in their insane greed and violence against the natural world. He would and could never even dream of actually doing so. No one the DNC would ever allow to be the candidate would.

# Inserted here: crystal structures
........
# 1
Below is crystalline EuTm2In at its relaxed geometry, with properties calculated at the GGA-PBE level.

```
EuTm2In
1.0
-1.660 -3.234 -3.108
3.617 1.150 -3.129
2.863 -3.437 2.047
Eu Tm In
1 2 1
Cartesian
2.410 -2.760 -2.095
1.431 -1.718 1.023
1.809 0.575 -1.564
-0.830 -1.617 -1.554
```

Values from the calculation:
space-group type	P4/mmm, No. 123
DOS at the Fermi energy	3.66	states/eV per cell
calculated formation energy	-0.79	eV per formula unit

***

# 2
Below is crystalline EuTm2In at its relaxed geometry, with properties calculated at the GGA-PBE level.

```
EuTm2In
1.0
5.458 0.000 0.000
2.729 4.727 0.000
2.729 1.576 4.456
Eu Tm In
1 2 1
Cartesian
5.458 3.151 2.228
2.729 1.576 1.114
8.187 4.727 3.342
0.000 0.000 0.000
```

Values from the calculation:
space-group type	Fm-3m, No. 225
DOS at the Fermi energy	4.96	states/eV per cell
calculated formation energy	-0.34	eV per formula unit

***

# 3
Below is crystalline Eu2TmIn at its relaxed geometry, with properties calculated at the GGA-PBE level.

```
Eu2TmIn
1.0
-0.238 4.786 1.932
-0.610 -1.847 4.500
4.859 -0.021 0.650
Eu Tm In
2 1 1
Cartesian
2.430 -0.011 0.325
-0.305 -0.923 2.250
2.006 1.459 3.541
-0.119 2.393 0.966
```

Values from the calculation:
space-group type	P4/mmm, No. 123
DOS at the Fermi energy	3.90	states/eV per cell
calculated formation energy	-0.75	eV per formula unit

***

# 4
Below is crystalline EuTm2In at its relaxed geometry, with properties calculated at the GGA-PBE level.

```
EuTm2In
1.0
3.594 0.000 0.000
0.000 3.594 0.000
0.000 0.000 9.420
Eu Tm In
1 2 1
Cartesian
1.797 1.797 4.710
0.000 0.000 7.433
0.000 0.000 1.986
1.797 1.797 0.000
```

Values from the calculation:
space-group type	P4/mmm, No. 123
DOS at the Fermi energy	3.47	states/eV per cell
calculated formation energy	-0.68	eV per formula unit

***

# 5
Below is crystalline Eu2TmIn at its relaxed geometry, with properties calculated at the GGA-PBE level.

```
Eu2TmIn
1.0
-0.442 3.763 -1.680
0.993 -1.543 -3.716
-7.275 -1.454 -1.341
Eu Tm In
2 1 1
Cartesian
-5.565 -1.112 -1.026
-1.710 -0.342 -0.315
-3.362 0.383 -3.369
0.276 1.110 -2.698
```

Values from the calculation:
space-group type	P4/mmm, No. 123
DOS at the Fermi energy	4.13	states/eV per cell
calculated formation energy	-0.47	eV per formula unit

***

# 6
Below is crystalline Eu2TmIn at its relaxed geometry, with properties calculated at the GGA-PBE level.

```
Eu2TmIn
1.0
-2.902 0.657 -2.169
0.341 -0.252 -3.658
-3.724 -10.909 -1.450
Eu Tm In
2 1 1
Cartesian
-1.523 -2.439 -1.828
-4.762 -8.064 -5.449
-3.142 -5.252 -3.638
0.000 0.000 0.000
```

Values from the calculation:
space-group type	R-3m, No. 166
DOS at the Fermi energy	4.37	states/eV per cell
calculated formation energy	-0.21	eV per formula unit

***

# 7
Below is crystalline Eu2TmIn at its relaxed geometry, with properties calculated at the GGA-PBE level.

```
Eu2TmIn
1.0
-3.980 -1.598 3.660
1.389 -3.099 4.501
-0.170 2.280 5.154
Eu Tm In
2 1 1
Cartesian
-0.690 -0.604 3.329
-2.070 -1.812 9.986
........

    There is literally no time left to enact action but here we are twiddling our thumbs while Republicans debate whether Texas should secede for some insane reason. It’s all distraction. I’m pissed the fuck off at it all and the ineffectiveness of liberal policy. They are all meek cowards who only exist to lose against the Republicans and then shrug and claim "well at least we tried. :( "

    • skulkingaround@sh.itjust.works
      9 months ago

      What could Biden have feasibly done other than what he’s already done in regards to climate change?

      The free market already knows that the fossil fuel industry is rapidly dying, as evidenced by the fact that renewable energy is now the cheapest option for building out new power gen and oil companies have been diversifying away from oil for years now. Don’t be surprised if you see Shell building offshore wind farms instead of oil drilling platforms soon.

      He’s included absolutely massive amounts of funding for renewable projects in the infrastructure bills that have been passed. Enough so that I expect the entire energy landscape of the US to look totally different within the decade. It can’t be overstated how big of deal this is, and realistically, this is the most effective climate action he could have taken that wouldn’t get stonewalled by republican obstructionism.

DFT (PBE) results for a geometry-optimized Tm2PS structure.

Lattice parameters (Å, degrees): 3.891 3.891 5.497 90.00 90.00 90.00
Fractional coordinates of all 4 atoms:
P 0.000 0.000 0.500
S 0.500 0.500 0.000
Tm 0.000 0.000 0.000
Tm 0.500 0.500 0.500

Calculated values
* final energy: -6.46 eV/atom
* space-group type: P4/mmm (123)

----------

Run P
# La7PrY12

A relaxed La7PrY12 crystal (GGA-PBE, Alexandria).

Unit cell a=12.1941 b=12.1941 c=16.4308 alpha=90.00 beta=90.00 gamma=120.00
Closest atoms and distances in Å follow each position.
Space group R-3 (No. 148, hexagonal axes)
One atom of each set of equivalent atoms:
La 0.0000 0.0000 0.0000 (multiplicity 3)  6 Y 3.35
La 0.0498 0.1815 0.2882 (multiplicity 18)  3 La 3.43-3.67, 5 Y 3.49-3.79
Pr 0.0000 0.0000 0.5000 (multiplicity 3)  6 Y 3.49
Y 0.0231 0.4456 0.2205 (multiplicity 18)  4 Y 3.31-3.65, 1 Pr 3.49, 2 La 3.57-3.66
Y 0.0525 0.5867 0.5838 (multiplicity 18)  5 Y 3.31-3.65, 2 La 3.35-3.49

---

Run Q
# La7PrY12

A relaxed La7PrY12 crystal (GGA-PBE, Alexandria).

Unit cell a=11.4055 b=11.4055 c=11.4055 alpha=90.00 beta=90.00 gamma=90.00
Closest atoms and distances in Å follow each position.
Space group Im-3 (No. 204)
One atom of each set of equivalent atoms:
La 0.0000 0.0000 0.5000 (multiplicity 6)  12 Y 4.03-4.05
La 0.2500 0.2500 0.2500 (multiplicity 8)  6 Y 2.85
Pr 0.0000 0.0000 0.0000 (multiplicity 2)  12 Y 4.02
Y 0.0000 0.2494 0.2486 (multiplicity 24)  2 La 2.85

---

Energies, relative to the best one, in meV per atom: run P 0; run Q 368.

---

Run P
# La2Pr6Y3

A relaxed La2Pr6Y3 crystal (GGA-PBE, Alexandria).

Unit cell a=5.7950 b=5.7950 c=24.8143 alpha=90.00 beta=90.00 gamma=90.00
Closest atoms and distances in Å follow each position.
Space group I4/mmm (No. 139)
One atom of each set of equivalent atoms:
La 0.0000 0.0000 0.0591 (multiplicity 4)  1 La 2.93, 4 Pr 3.04
Pr 0.0000 0.0000 0.2022 (multiplicity 4)  1 Y 3.42, 1 La 3.55
Pr 0.0000 0.5000 0.0964 (multiplicity 8)  2 La 3.04, 2 Y 3.30
Y 0.0000 0.0000 0.3402 (multiplicity 4)  5 Pr 3.30-3.42
Y 0.0000 0.0000 0.5000 (multiplicity 2)  8 Pr 3.76, 2 Y 3.96

---

Run Q
# La2Pr6Y3

A relaxed La2Pr6Y3 crystal (GGA-PBE, Alexandria).

Unit cell a=6.3058 b=10.9335 c=11.9989 alpha=90.00 beta=100.20 gamma=90.00
Closest atoms and distances in Å follow each position.
Space group C2/m (No. 12)
One atom of each set of equivalent atoms:
La 0.0000 0.1668 0.0000 (multiplicity 4)  3 La 3.64-3.65, 6 Pr 3.65-3.66
Pr 0.2485 0.5000 0.7475 (multiplicity 4)  3 Y 3.59-3.61, 6 Pr 3.63-3.65, 2 La 3.65
Pr 0.2497 0.1662 0.7472 (multiplicity 8)  3 Y 3.60-3.61, 6 Pr 3.63-3.65, 2 La 3.65-3.66
Y 0.0000 0.0000 0.5000 (multiplicity 2)  6 Pr 3.60-3.61, 6 Y 3.63-3.66
Y 0.0000 0.3347 0.5000 (multiplicity 4)  6 Pr 3.59-3.61, 6 Y 3.62-3.66

---

Energies, relative to the best one, in meV per atom: run P 273; run Q 0.

---

Run P
# LaPr2Y2

A relaxed LaPr2Y2 crystal (GGA-PBE, Alexandria).

Unit cell a=5.9436 b=7.1768 c=16.6598 alpha=90.00 beta=90.00 gamma=90.00

      Re. fossil fuels and poor people, he’s done a good job of both not handing more power to the fossil fuel corps while also not hamstringing the industry and subsequently jacking up the price of energy and transportation across the board. As much as I’d like to ditch fossil fuels, enacting policy that would jack gas prices into the double digits before we’re ready to switch by gutting the fossil fuels industry would be political suicide.

      Sure, a lot of the legislation he’s passing hands money to wealthy corporations. Somebody has to build the infrastructure to get us off fossil fuels after all. That doesn’t mean it isn’t also improving the world around us at a pace faster than any president in recent history, and being in a position that Biden is bringing us to is a much more stable platform to build real social and economic change off of. There will be no need for a messy revolution if we can incrementally design and build systems that handle the issues we face in a level headed, evidence based fasion.